• To do:
Write out everything below with every line break kept, please.

• Contents:
<<<
A relaxed Ba4CuPb crystal, computed with PBEsol.

Calculated values
* V: 39.565 A^3/atom
* final energy: -2.35 eV/atom
* space-group type: F-43m, No. 216

Unit cell a=6.9501 b=6.9501 c=6.9501 alpha=60.00 beta=60.00 gamma=60.00
Fractional positions:
1 Ba 0.1246 0.1246 0.1246
2 Ba 0.1246 0.1246 0.6261
3 Ba 0.1246 0.6261 0.1246
4 Ba 0.6261 0.1246 0.1246
5 Cu 0.5000 0.5000 0.5000
6 Pb 0.7500 0.7500 0.7500

A relaxed La3PdW crystal, computed with PBEsol.

Calculated values
* V: 31.944 A^3/atom
* final energy: -6.28 eV/atom
* space-group type: Pm-3m, No. 221

Unit cell a=5.4257 b=5.4257 c=5.4257 alpha=90.00 beta=90.00 gamma=90.00
Fractional positions:
1 La 0.0000 0.0000 0.5000
2 La 0.0000 0.5000 0.0000
3 La 0.5000 0.0000 0.0000
4 Pd 0.0000 0.0000 0.0000
5 W 0.5000 0.5000 0.5000

A relaxed V2GeO4F2 crystal, computed with PBEsol.

Calculated values
* V: 11.206 A^3/atom
* final energy: -7.71 eV/atom
* space-group type: Pnma, No. 62

Unit cell a=9.3667 b=8.6748 c=4.9651 alpha=90.00 beta=90.00 gamma=90.00
Fractional positions:
1 V 0.1296 0.0868 0.0928
2 V 0.1296 0.4132 0.0928
3 V 0.3704 0.5868 0.5928
4 V 0.3704 0.9132 0.5928
5 V 0.6296 0.0868 0.4072
6 V 0.6296 0.4132 0.4072
7 V 0.8704 0.5868 0.9072
8 V 0.8704 0.9132 0.9072
9 Ge 0.0609 0.7500 0.3986
10 Ge 0.4391 0.2500 0.8986
11 Ge 0.5609 0.7500 0.1014
12 Ge 0.9391 0.2500 0.6014
13 O 0.0075 0.5855 0.2152
14 O 0.0075 0.9145 0.2152
15 O 0.0213 0.2500 0.2809
16 O 0.2492 0.7500 0.4392
17 O 0.2508 0.2500 0.9392
18 O 0.4787 0.7500 0.7809
19 O 0.4925 0.0855 0.7152
20 O 0.4925 0.4145 0.7152
21 O 0.5075 0.5855 0.2848
22 O 0.5075 0.9145 0.2848
23 O 0.5213 0.2500 0.2191
24 O 0.7492 0.7500 0.0608
25 O 0.7508 0.2500 0.5608
26 O 0.9787 0.7500 0.7191
27 O 0.9925 0.0855 0.7848
28 O 0.9925 0.4145 0.7848
29 F 0.2471 0.5641 0.9057
30 F 0.2471 0.9359 0.9057
31 F 0.2529 0.0641 0.4057
32 F 0.2529 0.4359 0.4057
33 F 0.7471 0.5641 0.5943
34 F 0.7471 0.9359 0.5943
35 F 0.7529 0.0641 0.0943
36 F 0.7529 0.4359 0.0943

A relaxed TlFeNi2P crystal, computed with PBEsol.

Calculated values
* V: 17.865 A^3/atom
* final energy: -4.74 eV/atom
* space-group type: P4/mmm, No. 123

Unit cell a=4.3036 b=4.3036 c=4.8231 alpha=90.00 beta=90.00 gamma=90.00
Fractional positions:
1 Tl 0.0000 0.0000 0.0000
2 Fe 0.0000 0.0000 0.5000
3 Ni 0.0000 0.5000 0.5000
4 Ni 0.5000 0.0000 0.5000
5 P 0.5000 0.5000 0.0000

A relaxed Ba2ZrAs crystal, computed with PBEsol.

Calculated values
* V: 28.726 A^3/atom
* final energy: -4.57 eV/atom
* space-group type: Cmmm, No. 65

Unit cell a=5.9429 b=5.9429 c=3.5282 alpha=90.00 beta=90.00 gamma=112.77
Fractional positions:
1 Ba 0.0000 0.5000 0.0000
2 Ba 0.5000 0.0000 0.0000
3 Zr 0.0000 0.0000 0.5000
4 As 0.5000 0.5000 0.5000

A relaxed K2LaPt crystal, computed with PBEsol.

Calculated values
* V: 43.631 A^3/atom
* energy above the lowest structure with this stoichiometry: 0.00 kJ per mole of atoms
* final energy: -3.88 eV/atom
* space-group type: Cm, No. 8

Unit cell a=4.2437 b=4.2437 c=11.4342 alpha=100.02 beta=100.02 gamma=59.90
Fractional positions:
1 K 0.0000 0.0000 0.0000
2 K 0.2066 0.2066 0.6435
3 La 0.7758 0.7758 0.3314
4 Pt 0.4801 0.4801 0.4511

A relaxed Bi2Se3 crystal, computed with PBEsol.

Calculated values
* V: 28.164 A^3/atom
* final energy: -4.41 eV/atom
* space-group type: R-3m, No. 166

Unit cell a=9.8216 b=9.8216 c=9.8216 alpha=24.28 beta=24.28 gamma=24.28
Fractional positions:
1 Bi 0.0998 0.0998 0.0998
2 Bi 0.9002 0.9002 0.9002
3 Se 0.2886 0.2886 0.2886
4 Se 0.5000 0.5000 0.5000
5 Se 0.7114 0.7114 0.7114

A relaxed Ho2CN2O2 crystal, computed with PBEsol.

Calculated values
* V: 13.426 A^3/atom
* final energy: -9.00 eV/atom
* space-group type: P-3m1, No. 164

Unit cell a=3.6626 b=3.6626 c=8.0895 alpha=90.00 beta=90.00 gamma=120.00
Fractional positions:
1 Ho 0.3333 0.6667 0.1764
2 Ho 0.6667 0.3333 0.8236
3 C 0.0000 0.0000 0.5000
4 N 0.0000 0.0000 0.3474
5 N 0.0000 0.0000 0.6526
6 O 0.3333 0.6667 0.8978
7 O 0.6667 0.3333 0.1022

A relaxed Cr2RhPb crystal, computed with PBEsol.
>>>

• Done:
A relaxed Ba4CuPb crystal, computed with PBEsol.

Calculated values
* V: 39.565 A^3/atom
* final energy: -2.35 eV/atom
* space-group type: F-43m, No. 216

Unit cell a=6.9501 b=6.9501 c=6.9501 alpha=60.00 beta=60.00 gamma=60.00
Fractional positions:
1 Ba 0.1246 0.1246 0.1246
2 Ba 0.1246 0.1246 0.6261
3 Ba 0.1246 0.6261 0.1246
4 Ba 0.6261 0.1246 0.1246
5 Cu 0.5000 0.5000 0.5000
6 Pb 0.7500 0.7500 0.7500

A relaxed La3PdW crystal, computed with PBEsol.

Calculated values
* V: 31.944 A^3/atom
* final energy: -6.28 eV/atom
* space-group type: Pm-3m, No. 221

Unit cell a=5.4257 b=5.4257 c=5.4257 alpha=90.00 beta=90.00 gamma=90.00
Fractional positions:
1 La 0.0000 0.0000 0.5000
2 La 0.0000 0.5000 0.0000
3 La 0.5000 0.0000 0.0000
4 Pd 0.0000 0.0000 0.0000
5 W 0.5000 0.5000 0.5000

A relaxed V2GeO4F2 crystal, computed with PBEsol.

Calculated values
* V: 11.206 A^3/atom
* final energy: -7.71 eV/atom
* space-group type: Pnma, No. 62

Unit cell a=9.3667 b=8.6748 c=4.9651 alpha=90.00 beta=90.00 gamma=90.00
Fractional positions:
1 V 0.1296 0.0868 0.0928
2 V 0.1296 0.4132 0.0928
3 V 0.3704 0.5868 0.5928
4 V 0.3704 0.9132 0.5928
5 V 0.6296 0.0868 0.4072
6 V 0.6296 0.4132 0.4072
7 V 0.8704 0.5868 0.9072
8 V 0.8704 0.9132 0.9072
9 Ge 0.0609 0.7500 0.3986
10 Ge 0.4391 0.2500 0.8986
11 Ge 0.5609 0.7500 0.1014
12 Ge 0.9391 0.2500 0.6014
13 O 0.0075 0.5855 0.2152
14 O 0.0075 0.9145 0.2152
15 O 0.0213 0.2500 0.2809
16 O 0.2492 0.7500 0.4392
17 O 0.2508 0.2500 0.9392
18 O 0.4787 0.7500 0.7809
19 O 0.4925 0.0855 0.7152
20 O 0.4925 0.4145 0.7152
21 O 0.5075 0.5855 0.2848
22 O 0.5075 0.9145 0.2848
23 O 0.5213 0.2500 0.2191
24 O 0.7492 0.7500 0.0608
25 O 0.7508 0.2500 0.5608
26 O 0.9787 0.7500 0.7191
27 O 0.9925 0.0855 0.7848
28 O 0.9925 0.4145 0.7848
29 F 0.2471 0.5641 0.9057
30 F 0.2471 0.9359 0.9057
31 F 0.2529 0.0641 0.4057
32 F 0.2529 0.4359 0.4057
33 F 0.7471 0.5641 0.5943
34 F 0.7471 0.9359 0.5943
35 F 0.7529 0.0641 0.0943
36 F 0.7529 0.4359 0.0943

A relaxed TlFeNi2P crystal, computed with PBEsol.

Calculated values
* V: 17.865 A^3/atom
* final energy: -4.74 eV/atom
* space-group type: P4/mmm, No. 123

Unit cell a=4.3036 b=4.3036 c=4.8231 alpha=90.00 beta=90.00 gamma=90.00
Fractional positions:
1 Tl 0.0000 0.0000 0.0000
2 Fe 0.0000 0.0000 0.5000
3 Ni 0.0000 0.5000 0.5000
4 Ni 0.5000 0.0000 0.5000
5 P 0.5000 0.5000 0.0000

A relaxed Ba2ZrAs crystal, computed with PBEsol.

Calculated values
* V: 28.726 A^3/atom
* final energy: -4.57 eV/atom
* space-group type: Cmmm, No. 65

Unit cell a=5.9429 b=5.9429 c=3.5282 alpha=90.00 beta=90.00 gamma=112.77
Fractional positions:
1 Ba 0.0000 0.5000 0.0000
2 Ba 0.5000 0.0000 0.0000
3 Zr 0.0000 0.0000 0.5000
4 As 0.5000 0.5000 0.5000

A relaxed K2LaPt crystal, computed with PBEsol.

Calculated values
* V: 43.631 A^3/atom
* energy above the lowest structure with this stoichiometry: 0.00 kJ per mole of atoms
* final energy: -3.88 eV/atom
* space-group type: Cm, No. 8

Unit cell a=4.2437 b=4.2437 c=11.4342 alpha=100.02 beta=100.02 gamma=59.90
Fractional positions:
1 K 0.0000 0.0000 0.0000
2 K 0.2066 0.2066 0.6435
3 La 0.7758 0.7758 0.3314
4 Pt 0.4801 0.4801 0.4511

A relaxed Bi2Se3 crystal, computed with PBEsol.

Calculated values
* V: 28.164 A^3/atom
* final energy: -4.41 eV/atom
* space-group type: R-3m, No. 166

Unit cell a=9.8216 b=9.8216 c=9.8216 alpha=24.28 beta=24.28 gamma=24.28
Fractional positions:
1 Bi 0.0998 0.0998 0.0998
2 Bi 0.9002 0.9002 0.9002
3 Se 0.2886 0.2886 0.2886
4 Se 0.5000 0.5000 0.5000
5 Se 0.7114 0.7114 0.7114

A relaxed Ho2CN2O2 crystal, computed with PBEsol.

Calculated values
* V: 13.426 A^3/atom
* final energy: -9.00 eV/atom
* space-group type: P-3m1, No. 164

Unit cell a=3.6626 b=3.6626 c=8.0895 alpha=90.00 beta=90.00 gamma=120.00
Fractional positions:
1 Ho 0.3333 0.6667 0.1764
2 Ho 0.6667 0.3333 0.8236
3 C 0.0000 0.0000 0.5000
4 N 0.0000 0.0000 0.3474
5 N 0.0000 0.0000 0.6526
6 O 0.3333 0.6667 0.8978
7 O 0.6667 0.3333 0.1022

A relaxed Cr2RhPb crystal, computed with PBEsol.